For anyone who has read the gay and lesbian Christian message boards, particularly on Yahoo, you will notice that the fundamentalists who post all say the same things, make the same biblical arguments using the same threadbare six verses, and in the end, come to the same conclusions. Gay Christians (an oxymoron in their worldview) have two choices: either leave the “homosexual lifestyle” (whatever their stereotypical view of such a thing might be) or leave Christianity. To them, a choice must be made. It is an easy choice in their view, since gays and lesbians chose to be the way they are in the first place.
In their view, it is quite simple, “gay Christians” need to put up or shut up. Renounce either your “choice” of homosexuality or your “choice” of belief in Christ and God.
To be fair to the fundamentalists, this choice has been offered by many atheistic or Christianity-hostile gays and lesbians as well, so the hostility toward gay Christians comes not only from outside our community, but within as well.
To the fundamentalists, “gay Christians” are the worse kind of sinners because they use the Bible to “justify” their “sinful” behavior. They will twist scripture around to suit their needs. Then, they have the temerity to suggest that their interpretations are correct simply because they’ve followed some “historical criticism” method touted at those liberal seminaries that teach people to actually explore their faith instead of just accepting the Bible as the literal Word of God and being done with it all.
So, fundamentalists feel very smug in their conviction that they have captured God in the dog-eared pages of their King James Versions and their grand, ornate God cages they dub “Worship Centers.” All the while, they insist that “gay Christians” have destroyed the “Good Book” with their continued use of it to assure themselves that their walk with God is just as pure and holy as the fundamentalists’. The horror! Who are these people to take the Bible, interpret it, and then say that God loves them just as they are? Who do they think they are?
What’s a poor gay Christian to do?
Obviously, a choice has to be made. The fundamentalists have plastered a “No Fagz Allowed” sign on the door of their clubhouse and have refused to budge. They have threatened to hold their breath until they turn blue. They have stomped their feet in self-righteous rage and accused us of tainting the faith somehow with our continued insistence that we too are children of God. They have demanded we change our ways, renounce our “filthy lifestyles” and win the love of God.
When that tactic fails, they inform us that since we love our “sin” more than we love God then we should just stop calling ourselves Christians, renounce our faith and move on into the life of debauchery and licentiousness that we obviously crave. We cannot be with God, they say, and be gay as well. God will not allow it. They know, because they can speak for God, and God said, “Read the sign ‘fagz’ and hit the road.”
However, it begs the question of who is it that is actually sinning in this scenario. If sin can be defined as “alienation from God,” who is it that finally commits the worst sin: the person who chooses willfully to alienate themselves from God, or the person who pushed them to the point of alienation? Jesus warned the Pharisees that because they shut the gates of heaven on those seeking to get in that they themselves would not be allowed into heaven.
Gay and lesbian Christians, through struggling with their faith, are seeking that gate to heaven. They are seeking a passage that will connect them with God. The final sinner in the picture is the person who slams the gate shut, not the person who seeks to come to God, even though that person may not have worked out all areas of “sin” in their lives.
Of course, the fundamentalists do not see it this way, no matter what Jesus might say on the matter. Gays cannot be Christian because of their sin, end of statement.
However, isn’t one of the basic tenets of the Christian faith the belief that when we come to God we don’t have to be clean of our sins? Isn’t another basic tenet of the Christian faith the belief that we all sin and fall short of God’s glory? Isn’t another tenet of the faith the belief that God forgives us not once, but seventy times seventy? And, isn’t it another tenet of the faith, or maybe it was just Jesus’ words in the end of the Gospel of John, that we are not to be concerned with the fate of another believer but instead focus all our energy on following Christ?
So what if some believers consider gay Christians “sinners” — we are all sinners. Not one of us is perfect. Not one of us will ever be perfect. We can strive for it, certainly, but we most likely will never reach it.
Ah, but the fundamentalists say, the big difference is gays and lesbians “continue” in their sin, not renouncing their sexual orientation and seeking forgiveness for their “behavior.” Ah, there’s the rub. Therein lays the yawning chasm between fundamentalists and their gay and lesbian Christian brothers and sisters.
The impasse is over whether or not homosexuality is a sin in and of itself. This is where the options are given — get out of the “lifestyle” or get out of the faith. This is where the prooftexting begins. This is where the fundamentalists tout the Bible as the literal Word of God, giving them the confidence to speak for God. This is where the gay Christians say the Bible is authoritative, but not literal, and when put into its proper context says nothing about homosexuality, as we know it today.
Here we reach the end of the road for dialogue. Here is where the shouting begins. Here is where the recriminations begin. Here is where the cajoling begins. Here is where the threats begin. Here is where the choice is given — give it up or get out.
What’s a poor gay Christian to do?
However, maybe there is a third option; it involves give and take from both sides. It involves real dialogue. It involves work on both sides. It involves getting to know one another as children of God, brothers and sisters in Christ, instead of believing the stereotypes about “us” and “them.” It involves the realization that how we treat one another has repercussions for the fate of the larger body of faith. It involves realizing that we are all intimately connected, all manifestations of the same life-giving force of God.
Gay Christians seek entrance into the kingdom. Fundamentalists seek the “destruction” of a very major part of the gay Christian, namely, the “gay” part of their moniker, as payment for entering that kingdom. The ones most likely to budge in this situation are the gay Christians, who instead of giving up “gay” give up “Christian.”
Is this really the goal of fundamentalists? To destroy the faith of another person and to strip someone of their connection to God, forcing them to choose “sin” and alienation from God? Christ had an opinion of such a deed and the Sanhedrin was branded as one of those who shut the gates of heaven on those seeking entrance.
Do they realize the fact that many gays and lesbians will not even approach God knowing that they may have to face a fundamentalist as the gatekeeper?
If they take no pleasure in such ideas, then why do they continue to set themselves up as the gatekeeper? Why do they keep giving out a list of do’s and don’ts that drive people away from God? Why do they seek to assuage their own egos by setting themselves up as the person who can stamp their “get into heaven” card or pass out “straight to hell” cards with impunity?
Faced with this kind of vindictive, sadistic gatekeeper:
What’s a poor gay Christian to do?
(Someone pasted materials data at this point)
+++
Record 1
Li2PRh4 | Alexandria | PBE | relaxed; ρ = 6.5 g/cm3; energy relative to the elements = 0.10 eV/atom; M_tot = 0.3 μB/cell
1.0
-2.1683 2.1683 6.1893
2.1683 -2.1683 6.1893
2.1683 2.1683 -6.1893
Li P Rh
2 1 4
Direct
0.1242 0.1242 0.0000 Li
0.8758 0.8758 0.0000 Li
0.5000 0.5000 0.0000 P
0.0000 0.5000 0.5000 Rh
0.3252 0.3252 0.0000 Rh
0.5000 0.0000 0.5000 Rh
0.6748 0.6748 0.0000 Rh

Record 2
LiPRh2 | Alexandria | PBE | relaxed; ρ = 7.6 g/cm3; energy relative to the elements = -0.46 eV/atom; M_tot = 0.0 μB/cell
1.0
-1.4235 1.9412 4.8349
1.4235 -1.9412 4.8349
1.4235 1.9412 -4.8349
Li P Rh
1 1 2
Direct
0.0000 0.0000 0.0000 Li
0.2443 0.7443 0.5000 P
0.4283 0.4283 0.0000 Rh
0.6895 0.1895 0.5000 Rh

Record 3
LiP4Rh | Alexandria | PBE | relaxed; ρ = 4.4 g/cm3; energy relative to the elements = 0.35 eV/atom; M_tot = 0.0 μB/cell
1.0
0.0000 3.5430 3.5430
3.5430 0.0000 3.5430
3.5430 3.5430 0.0000
Li P Rh
1 4 1
Direct
0.0000 0.0000 0.0000 Li
0.1074 0.6309 0.6309 P
0.6309 0.1074 0.6309 P
0.6309 0.6309 0.1074 P
0.6309 0.6309 0.6309 P
0.2500 0.2500 0.2500 Rh

Record 4
LiPRh2 | Alexandria | PBE | relaxed; ρ = 6.6 g/cm3; energy relative to the elements = -0.16 eV/atom; M_tot = 0.0 μB/cell
1.0
-1.3978 2.1177 5.2172
1.3978 -2.1177 5.2172
1.3978 2.1177 -5.2172
Li P Rh
1 1 2
Direct
0.0000 0.0000 0.0000 Li
0.5000 0.5000 0.0000 P
0.2948 0.2948 0.0000 Rh
0.7052 0.7052 0.0000 Rh

Record 5
LiPRh2 | Alexandria | PBE | relaxed; ρ = 8.3 g/cm3; energy relative to the elements = -0.55 eV/atom; M_tot = 0.0 μB/cell
1.0
4.0382 0.0000 0.0000
0.0000 4.0382 0.0000
0.0000 0.0000 2.9813
Li P Rh
1 1 2
Direct
0.0000 0.0000 0.0000 Li
0.5000 0.5000 0.0000 P
0.0000 0.5000 0.5000 Rh
0.5000 0.0000 0.5000 Rh

Record 6
LiPRh2 | Alexandria | PBE | relaxed; ρ = 7.9 g/cm3; energy relative to the elements = -0.37 eV/atom; M_tot = 0.0 μB/cell
1.0
2.8069 0.0000 0.0000
0.0000 3.7935 0.0000
0.0000 0.0000 4.8389
Li P Rh
1 1 2
Direct
0.0000 0.0000 0.0000 Li
0.5000 0.5000 0.3078 P
0.0000 0.0000 0.4879 Rh
0.5000 0.5000 0.8173 Rh

Record 7
LiPRh2 | Alexandria | PBE | relaxed; ρ = 8.0 g/cm3; energy relative to the elements = -0.36 eV/atom; M_tot = 0.0 μB/cell
1.0
-1.7621 1.7621 4.0833
1.7621 -1.7621 4.0833
1.7621 1.7621 -4.0833
Li P Rh
1 1 2
Direct
0.0000 0.0000 0.0000 Li
0.2500 0.7500 0.5000 P
0.5000 0.5000 0.0000 Rh
0.7500 0.2500 0.5000 Rh

Record 8
LiPRh2 | Alexandria | PBE | relaxed; ρ = 7.7 g/cm3; energy relative to the elements = -0.38 eV/atom; M_tot = 0.0 μB/cell
1.0
3.8623 -1.4394 0.0000
3.8623 1.4394 0.0000
-0.9732 0.0000 4.7234
Li P Rh
1 1 2
Direct
0.0000 0.0000 0.0000 Li
0.5000 0.5000 0.5000 P
0.2369 0.2369 0.7340 Rh
0.7631 0.7631 0.2660 Rh
+++
(The piece goes on)
The answer to both fundamentalists and gay Christians is simple: drop the prooftexting. Arguments about the Bible are fruitless simply because they do not share a common starting point. Those who believe the Bible to be inerrant will never agree on any issue with those who believe the Bible to be authoritative but not inerrant. It simply will not happen. Arguments will go past each other and never the twain shall meet, so the fruitless bickering continues.
What should replace it?
True, honest, dialogue.
Dialogue is not arguing. Dialogue is not saying, “I’m right, you’re wrong and here is why.” Being in dialogue means really listening to another person, hearing their story, feeling their pain, feeling their fear, allowing yourself to be open and vulnerable to that person. In this way we stop seeing each other as “enemies” instead we see each other as true human beings with anxieties, joys, fears, hopes and dreams. We are all very much alike, all seeking the same things, all experiencing the same world with all its dangers and blessings. We must remember that we are all connected, all manifestations of God on earth — none more righteous, pure or holy than the other. All seeking that same connection back to God.
It will demand a lot from both sides. However, we must keep in mind that the goal is the same: connection with God. We are all seeking entrance to the kingdom and neither of us can appoint ourselves as gatekeeper denying entry to those we personally feel are “sinners.” Truly, only God knows the heart, only God knows the true sin of any of us. That is something we need to realize — all of us — gay and straight Christian alike.
Once we can agree that only God knows our sin and only God can judge that sin, we can get about the business of loving our neighbor as ourselves. To do any less is to profess that we do not trust God with the task of knowing, judging and convicting hearts bent on sinning. To continue to condemn each other as “sinners” instead of edifying one another as brothers and sisters in Christ belies our human tendency to set ourselves up as judge and jury instead of handing the matter over to God.
For those who want to know the fate of another believer, take Jesus at his word when he asks, “What is that to you? You, follow me” (John 21:22). Let us lay aside our judging, our threatening, our cajoling, our insulting, our bickering, our hatred and our ego’s need to be “right.” Let us instead rejoice in the fact that each of us, fundamentalist and gay Christian alike, have come to a place of faith in God. A place of knowing that connection to God is what we seek. Let us get out of each other’s way and trust God to handle any areas of sin in our lives. Let us seek to open wide the gates of heaven to all who seek to end their alienation from God. And finally, let us trust God enough to know who sins and who does not and how best to handle any sin.
What’s a poor gay Christian to do?
“Follow me.”
Founder of Motley Mystic and the Jubilee! Circle interfaith spiritual community In Columbia, S.C., Candace Chellew (she/her) is the author of Bulletproof Faith: A Spiritual Survival Guide for Gay and Lesbian Christians (Jossey-Bass, 2008). Founder and Editor Emeritus of Whosoever, she earned her masters of theological studies at Emory University’s Candler School of Theology, was ordained by Gentle Spirit Christian Church in December 2003, and trained as a spiritual director through the Omega Point program of the Episcopal Diocese of Atlanta. She is also a musician and animal lover.